Tuesday, January 27, 2009

In the hospital to stay...

Inserted here: materials data:
(1)
# PBE with a Hubbard U Li4Ti3Co5O16, relaxed
# Energy of formation in meV/atom: -2094
# Raw total energy in eV/atom: -6.625
# Total energy after the MP2020 corrections in eV per atom: -7.310
# Total magnetic moment in μB per cell: 23.68
data_Li4Ti3Co5O16
_chemical_formula_sum 'Li8 Ti6 Co10 O32'
_symmetry_space_group_name_H-M 'C 1 m 1'
_symmetry_Int_Tables_number 8
_symmetry_space_group_name_Hall 'C -2y'
_cell_length_a 9.874
_cell_length_b 5.804
_cell_length_c 9.310
_cell_angle_alpha 90.00
_cell_angle_beta 90.36
_cell_angle_gamma 90.00
loop_
_atom_site_label
_atom_site_type_symbol
_atom_site_fract_x
_atom_site_fract_y
_atom_site_fract_z
Li1 Li 0.000 0.000 0.000
Li2 Li 0.006 0.000 0.496
Li3 Li 0.183 0.500 0.106
Li4 Li 0.349 0.000 0.599
Ti1 Ti 0.098 0.253 0.783
Ti2 Ti 0.182 0.000 0.282
Co1 Co 0.179 0.500 0.510
Co2 Co 0.339 0.500 0.781
Co3 Co 0.348 0.000 0.016
Co4 Co 0.426 0.247 0.286
O1 O 0.006 0.000 0.187
O2 O 0.007 0.000 0.684
O3 O 0.036 0.500 0.649
O4 O 0.094 0.254 0.392
O5 O 0.177 0.500 0.897
O6 O 0.183 0.000 0.894
O7 O 0.254 0.284 0.648
O8 O 0.277 0.220 0.151
O9 O 0.345 0.500 0.386
O10 O 0.349 0.000 0.393
O11 O 0.430 0.247 0.892
O12 O 0.492 0.000 0.162


(2)
# PBE with a Hubbard U Li4TiCo5O12, relaxed
# Energy of formation in meV/atom: -1880
# Raw total energy in eV/atom: -6.153
# Total energy after the MP2020 corrections in eV per atom: -6.900
# Total magnetic moment in μB per cell: 2.00
# Distance to the lowest polymorph of the same formula in kJ/mol of atoms: 0.05
data_Li4TiCo5O12
_chemical_formula_sum 'Li8 Ti2 Co10 O24'
_symmetry_space_group_name_H-M 'P 1'
_symmetry_Int_Tables_number 1
_symmetry_space_group_name_Hall 'P 1'
_cell_length_a 4.916
_cell_length_b 8.524
_cell_length_c 10.762
_cell_angle_alpha 66.92
_cell_angle_beta 85.46
_cell_angle_gamma 89.71
loop_
_atom_site_label
_atom_site_type_symbol
_atom_site_fract_x
_atom_site_fract_y
_atom_site_fract_z
Li1 Li 0.000 0.000 0.000
Li2 Li 0.000 0.334 0.996
Li3 Li 0.427 0.245 0.510
Li4 Li 0.429 0.576 0.510
Li5 Li 0.501 0.499 0.999
Li6 Li 0.502 0.833 0.999
Li7 Li 0.920 0.741 0.511
Li8 Li 0.926 0.074 0.514
Ti1 Ti 0.467 0.029 0.262
Ti2 Ti 0.977 0.542 0.248
Co1 Co 0.214 0.287 0.755
Co2 Co 0.214 0.622 0.755
Co3 Co 0.214 0.953 0.755
Co4 Co 0.465 0.704 0.255
Co5 Co 0.466 0.373 0.254
Co6 Co 0.714 0.122 0.755
Co7 Co 0.714 0.453 0.755
Co8 Co 0.714 0.787 0.755
Co9 Co 0.960 0.869 0.256
Co10 Co 0.962 0.204 0.255
O1 O 0.061 0.836 0.653
O2 O 0.064 0.168 0.654
O3 O 0.069 0.509 0.654
O4 O 0.137 0.089 0.150
O5 O 0.154 0.766 0.146
O6 O 0.165 0.434 0.141
O7 O 0.269 0.811 0.364
O8 O 0.275 0.157 0.362
O9 O 0.290 0.485 0.363
O10 O 0.358 0.409 0.856
O11 O 0.363 0.067 0.856
O12 O 0.367 0.735 0.856
O13 O 0.561 0.336 0.653
O14 O 0.564 0.667 0.654
O15 O 0.570 0.010 0.654
O16 O 0.643 0.591 0.148
O17 O 0.652 0.260 0.148
O18 O 0.652 0.919 0.148
O19 O 0.772 0.968 0.371
O20 O 0.774 0.653 0.361
O21 O 0.777 0.313 0.361
O22 O 0.858 0.909 0.856
O23 O 0.863 0.567 0.856
O24 O 0.867 0.235 0.857


(3)

Hi everyone! Ryon is in Florida this week at his National Sales Meeting so I am venturing out and posting this myself. Today has been a big day and it's not even noon yet. My doc came in to do an long awaited exam to see if I could possibly go home since I will be 30 weeks on Thursday. She found that I am 100% effaced and 1 mm dialated...therefore she said she would not send me home. A lot of people are out there running around in a similar situation (maybe not at 30 weeks) but she felt it was best for me to stay put. I had hoped and prayed yesterday that whatever was decided today was the best thing for the boys and myself, so i believe staying put is the answer. I will try to stay sane in this room and enjoy more hospital food!! I also had another ultrasound today. It has been 4 weeks so I was ready to see the boys moving around in there. My Mom was here to go with me since Ryon is out of town. The boys are doing great, thank God. Baby A is weighing in at 2 lbs 15 oz with Baby B showing him up at 3 lbs 3 oz. At this point Baby A is 'head down and face up' with Baby B in a breach postition (folded up with his rear down). We are planning on having a c-section so this positioning doesn't really matter. Today Dr. Schmidt said if my water breaks we'll go ahead and deliver them otherwise at 34 weeks she'll do a scheduled c-section. That puts us at Feb. 26th...so I'll be hanging out there until one of those two things occur. My guess is that she may try to get me to wait past 34 weeks if I make it there, but at this point thinking I'll be here more than 4 more weeks is a little hard to handle. I have now been in the hopital for 8 weeks and on bestrest for 10!! Talk about losing muscle mass...I guess it's a good think I didn't have much to start out with! :)
I had my second and last round of steriod shots today and yesterday which should help with lung development at this point. We feel so thankful to have made it to this point with the babies doing good and getting so big. It's been a LONG journey but I know it is worth it. I am so excited to see these little guys in the near future!! Thanks for all of your love and support along the way. It means so much to the 4 of us!! :)
We'll post more as it occurs.
Paula, Ryon and the boys

**Materials data, kept here for reference:**
(1)
{
  "formula": "Rb2Ta2P7O24",
  "functional": "PBE-GGA",
  "state": "optimized geometry",
  "lattice_angstrom": [[5.2630, 0.0000, 0.0000], [0.0000, 18.8485, 0.0000], [-1.0295, 0.0000, 10.9204]],
  "species": ["Rb", "Rb", "Rb", "Rb", "Ta", "Ta", "Ta", "Ta", "P", "P", "P", "P", "P", "P", "P", "P", "P", "P", "P", "P", "P", "P", "O", "O", "O", "O", "O", "O", "O", "O", "O", "O", "O", "O", "O", "O", "O", "O", "O", "O", "O", "O", "O", "O", "O", "O", "O", "O", "O", "O", "O", "O", "O", "O", "O", "O", "O", "O", "O", "O", "O", "O", "O", "O", "O", "O", "O", "O", "O", "O"],
  "frac_coords": [[0.2071, 0.2500, 0.2276], [0.2324, 0.7500, 0.5095], [0.7676, 0.2500, 0.4905], [0.7929, 0.7500, 0.7724], [0.2039, 0.5245, 0.3049], [0.2039, 0.9755, 0.3049], [0.7961, 0.0245, 0.6951], [0.7961, 0.4755, 0.6951], [0.1776, 0.6254, 0.0339], [0.1776, 0.8746, 0.0339], [0.2605, 0.0968, 0.5428], [0.2605, 0.4032, 0.5428], [0.3221, 0.5833, 0.7954], [0.3221, 0.9167, 0.7954], [0.3984, 0.7500, 0.1639], [0.6016, 0.2500, 0.8361], [0.6779, 0.0833, 0.2046], [0.6779, 0.4167, 0.2046], [0.7395, 0.5968, 0.4572], [0.7395, 0.9032, 0.4572], [0.8224, 0.1254, 0.9661], [0.8224, 0.3746, 0.9661], [0.0205, 0.0917, 0.6169], [0.0205, 0.4083, 0.6169], [0.0603, 0.1573, 0.0217], [0.0603, 0.3427, 0.0217], [0.0976, 0.5339, 0.7478], [0.0976, 0.9661, 0.7478], [0.1655, 0.5778, 0.1476], [0.1655, 0.9222, 0.1476], [0.1745, 0.7500, 0.2406], [0.2463, 0.0296, 0.4577], [0.2463, 0.4704, 0.4577], [0.2718, 0.1648, 0.4739], [0.2718, 0.3352, 0.4739], [0.3010, 0.6578, 0.7517], [0.3010, 0.8422, 0.7517], [0.3260, 0.5768, 0.9438], [0.3260, 0.9232, 0.9438], [0.3544, 0.2500, 0.7538], [0.3963, 0.6839, 0.0725], [0.3963, 0.8161, 0.0725], [0.4283, 0.0444, 0.2288], [0.4283, 0.4556, 0.2288], [0.4987, 0.0833, 0.6373], [0.4987, 0.4167, 0.6373], [0.5013, 0.5833, 0.3627], [0.5013, 0.9167, 0.3627], [0.5717, 0.5444, 0.7712], [0.5717, 0.9556, 0.7712], [0.6037, 0.1839, 0.9275], [0.6037, 0.3161, 0.9275], [0.6456, 0.7500, 0.2462], [0.6740, 0.0768, 0.0562], [0.6740, 0.4232, 0.0562], [0.6990, 0.1578, 0.2483], [0.6990, 0.3422, 0.2483], [0.7282, 0.6648, 0.5261], [0.7282, 0.8352, 0.5261], [0.7537, 0.5296, 0.5423], [0.7537, 0.9704, 0.5423], [0.8255, 0.2500, 0.7594], [0.8345, 0.0778, 0.8524], [0.8345, 0.4222, 0.8524], [0.9024, 0.0339, 0.2522], [0.9024, 0.4661, 0.2522], [0.9397, 0.6573, 0.9783], [0.9397, 0.8427, 0.9783], [0.9795, 0.5917, 0.3831], [0.9795, 0.9083, 0.3831]],
  "final_energy_ev_per_atom": -7.49,
  "formation_enthalpy_0k_mev_per_atom": -2753
}


(2)
{
  "formula": "Ho3SnC",
  "functional": "PBE-GGA",
  "state": "optimized geometry",
  "lattice_angstrom": [[5.5788, 0.0000, 0.0000], [0.0000, 5.5788, 0.0000], [0.0000, 0.0000, 5.5788]],
  "species": ["Ho", "Ho", "Ho", "Sn", "C"],
  "frac_coords": [[0.0000, 0.0000, 0.5000], [0.0000, 0.5000, 0.0000], [0.5000, 0.0000, 0.0000], [0.0000, 0.0000, 0.0000], [0.5000, 0.5000, 0.5000]],
  "final_energy_ev_per_atom": -3.93,
  "formation_enthalpy_0k_mev_per_atom": 1472
}


(3)
{


Jen Palmer said...

So glad to hear you & the boys are hanging in there! You are staying so strong for them! We continue to keep all 4 of you in our prayers! Keep the faith! We are expecting baby #2 around Sept. 1. Love, Fuller

Miranda Thibodeaux said...

Hang in there girl. I know you can do it. Can't wait to see pics of them!!!


Holly said...

Happy 30 weeks! You are awesome! Give the boys a poke for us and hang in there! We hope to see you soon!

Love, Mike & Holly

Sonia said...

Hey Paula,

I am so glad that things are well, all things considered. It is great to see your picture, you look great, and the brown hair is a shock. I still have your highschool picture in my head, I think from the last time we kept in touch. I will keep you and the boys in my prayers. You are doing great, keep it up, it will all be worth it.

Mrs. Margot said...

What a great mom you already are!!! Those boys are so lucky! I'm so sorry it has been such a long stay but you are absolutely right - it is all worth it!!

Love, Kelly M.

(Next to the piece, the page also holds crystal structures)
/*
1.
This record from the Materials Project database describes a relaxed KHS crystal. The functional is r²SCAN.

Lattice parameters (Å, degrees): 4.3657 4.9275 6.5912 90.00 101.12 90.00
Last column: nearest neighbours and their distance in Å.
Fractional positions:
K 0.2327 0.2500 0.2620  3 H 2.94-2.95, 3 S 3.25-3.26
K 0.7673 0.7500 0.7380  3 H 2.94-2.95, 3 S 3.25-3.26
H 0.4705 0.7500 0.1045  1 S 1.34
H 0.5295 0.2500 0.8955  1 S 1.34
S 0.2595 0.2500 0.7576  1 H 1.34
S 0.7405 0.7500 0.2424  1 H 1.34

Properties
Its theoretical density is 1.72 g/cm3. The calculation puts the raw total energy at -6.74 eV/atom. The space group is P2_1/m (11). For the size of the total moment, the calculation gives 0.0 Bohr magnetons per cell. The calculation puts the energy of formation from the pure elements at -262 kJ/mol of formula units.

2.
This record from the Materials Project database describes a relaxed K3ZnH5 crystal. The functional is r²SCAN.

Lattice parameters (Å, degrees): 7.6649 7.6649 7.6649 121.70 121.70 87.08
Last column: nearest neighbours and their distance in Å.
Fractional positions:
K 0.1797 0.6797 0.8594  8 H 2.74-2.93
K 0.2500 0.2500 0.0000  10 H 2.78-3.11
K 0.3203 0.1797 0.5000  8 H 2.74-2.93
K 0.6797 0.8203 0.5000  8 H 2.74-2.93
K 0.7500 0.7500 0.0000  10 H 2.78-3.11
K 0.8203 0.3203 0.1406  8 H 2.74-2.93
Zn 0.2500 0.7500 0.5000  4 H 1.64
Zn 0.7500 0.2500 0.5000  4 H 1.64
H 0.0000 0.0000 0.0000  6 K 2.74-2.78
H 0.0369 0.7867 0.5000  1 Zn 1.64
H 0.2133 0.7133 0.2502  1 Zn 1.64
H 0.2867 0.5369 0.5000  1 Zn 1.64
H 0.4631 0.9631 0.7498  1 Zn 1.64
H 0.5000 0.5000 0.0000  6 K 2.74-2.78
H 0.5369 0.0369 0.2502  1 Zn 1.64
H 0.7133 0.4631 0.5000  1 Zn 1.64
H 0.7867 0.2867 0.7498  1 Zn 1.64
H 0.9631 0.2133 0.5000  1 Zn 1.64

Properties
Its theoretical density is 2.01 g/cm3. The calculation puts the raw total energy at -5.23 eV/atom. The space group is I4/mcm (140). For the size of the total moment, the calculation gives 0.0 Bohr magnetons per cell. The calculation puts the energy of formation from the pure elements at -277 kJ/mol of formula units.

3.
This record from the Materials Project database describes a relaxed LaH3 crystal. The functional is r²SCAN.

Lattice parameters (Å, degrees): 3.9407 3.9407 3.9407 60.00 60.00 60.00
Last column: nearest neighbours and their distance in Å.
Fractional positions:
La 0.0000 0.0000 0.0000  8 H 2.41
H 0.2500 0.2500 0.2500  4 H 2.41, 4 La 2.41
H 0.5000 0.5000 0.5000  8 H 2.41
H 0.7500 0.7500 0.7500  4 H 2.41, 4 La 2.41

Properties
Its theoretical density is 5.45 g/cm3. The calculation puts the raw total energy at -10.71 eV/atom. The space group is Fm-3m (225). For the size of the total moment, the calculation gives 0.0 Bohr magnetons per cell. The calculation puts the energy of formation from the pure elements at -265 kJ/mol of formula units.

4.
This record from the Materials Project database describes a relaxed LaH3O3 crystal. The functional is r²SCAN.
*/

Diana Allen said...

Lacie and Bella have just left the salon and are waiting to be scheduled for a visit. They can stay as long or as short of a period as you like. We were so excited to hear you were going home. Get settled in and let us know when we can help.
We Love You,
Lacie, Bella, Papa & Mamie